How to Improve your Concentration and Productivity
>> May 31, 2012

Make a good plan
Making a good plan is very essential to
stay focused and concentrated. You should create a good plan for even the very
simple of tasks. Many people fail to do this and are not able to succeed in
what they're doing. Your plan should be realistic and achievable. Do not plan
for the impossible because it will lead to failure which will lead to
frustration. Overall, it will affect your concentration and make you less
Take rest
Taking rest is very important to stay
focused. In fact, many studies have indicated that taking rest is necessary for
concentration. You cannot keep working on the same thing hours at a stretch and
at the same time expect to give your maximum output. Preferably, you should
take a small break every hour. This way your mind will be refreshed and you can
stay focused. If you have any hiccups, taking a look at them from a fresh
perspective after a rest break can give you new ways to tackle them.
It is also important that you get
-- Crystal structures from another source follow --
+++
Record 1
VASP calculation (GGA-PBE) on crystalline MoWSeS3 at its relaxed geometry.

Cell: 3.220 3.220 36.338 Å, 90.00 90.00 120.00°
Element x y z (fractional)
S 0.333 0.667 0.051
W 0.333 0.667 0.282
S 0.000 0.000 0.325
Se 0.333 0.667 0.517
Se 0.333 0.667 0.423
S 0.000 0.000 0.615
Mo 0.000 0.000 0.470
S 0.000 0.000 0.701
S 0.333 0.667 0.137
W 0.333 0.667 0.658
S 0.000 0.000 0.239
Mo 0.000 0.000 0.094

Computed properties:
- Energy of formation: -1.034 eV per atom
- VASP energy: -7.401 eV/atom


Record 2
VASP calculation (GGA-PBE) on crystalline Mg6FeSi at its relaxed geometry.

Cell: 4.665 6.064 10.340 Å, 90.00 90.00 90.00°
Element x y z (fractional)
Mg 0.000 0.242 0.589
Mg 0.000 0.758 0.589
Si 0.500 0.500 0.184
Mg 0.500 0.764 0.910
Mg 0.500 0.236 0.910
Mg 0.000 0.258 0.089
Fe 0.000 0.500 0.317
Mg 0.500 0.264 0.410
Mg 0.500 0.736 0.410
Si 0.500 0.000 0.684
Fe 0.000 0.000 0.817
Mg 0.500 0.000 0.167
Mg 0.500 0.500 0.667
Mg 0.000 0.742 0.089
Mg 0.000 0.500 0.834
Mg 0.000 0.000 0.334

Computed properties:
- Energy of formation: 0.162 eV per atom
- VASP energy: -2.784 eV/atom


Record 3
VASP calculation (GGA-PBE) on crystalline Mg2Pt at its relaxed geometry.

Cell: 5.336 5.336 5.336 Å, 106.50 106.50 115.60°
Element x y z (fractional)
Pt 0.750 0.750 0.000
Mg 0.685 0.185 0.869
Pt 0.250 0.250 0.000
Mg 0.185 0.315 0.500
Mg 0.815 0.685 0.500
Mg 0.315 0.815 0.131

Computed properties:
- Energy of formation: -0.708 eV per atom
- VASP energy: -3.799 eV/atom


Record 4
VASP calculation (GGA-PBE) on crystalline Ba3N2 at its relaxed geometry.

Cell: 11.416 11.416 11.416 Å, 109.47 109.47 109.47°
Element x y z (fractional)
N 0.500 0.500 0.500
N 0.000 0.000 0.500
N 0.193 0.943 0.250
N 0.250 0.193 0.943
N 0.000 0.500 0.000
Ba 0.954 0.727 0.997
Ba 0.273 0.730 0.227
Ba 0.227 0.273 0.730
Ba 0.727 0.997 0.954
N 0.250 0.693 0.443
Ba 0.544 0.773 0.546
N 0.750 0.807 0.057
Ba 0.546 0.544 0.773
Ba 0.230 0.956 0.503
N 0.693 0.443 0.250
Ba 0.730 0.227 0.273
N 0.557 0.750 0.307
N 0.307 0.557 0.750
N 0.500 0.000 0.000
Ba 0.046 0.273 0.003
N 0.750 0.307 0.557
Ba 0.273 0.003 0.046
Ba 0.044 0.497 0.770
Ba 0.956 0.503 0.230
Ba 0.773 0.727 0.270
N 0.443 0.250 0.693
N 0.943 0.250 0.193
Ba 0.727 0.270 0.773
Ba 0.497 0.770 0.044
Ba 0.003 0.046 0.273
Ba 0.503 0.230 0.956
Ba 0.456 0.227 0.454
Ba 0.227 0.454 0.456
N 0.057 0.750 0.807
Ba 0.773 0.546 0.544
Ba 0.454 0.456 0.227
Ba 0.770 0.044 0.497
N 0.807 0.057 0.750
Ba 0.997 0.954 0.727
Ba 0.270 0.773 0.727

Computed properties:
- Energy of formation: -0.457 eV per atom
- VASP energy: -4.798 eV/atom


Record 5
VASP calculation (GGA-PBE) on crystalline CeNiGe at its relaxed geometry.

Cell: 4.306 7.202 7.208 Å, 90.00 90.00 90.00°
Element x y z (fractional)
Ni 0.250 0.702 0.080
Ge 0.750 0.698 0.910
Ce 0.750 0.012 0.209
Ge 0.250 0.802 0.410
Ni 0.750 0.798 0.580
Ce 0.250 0.988 0.791
Ni 0.250 0.202 0.420
Ce 0.750 0.512 0.291
Ge 0.250 0.302 0.090
Ce 0.250 0.488 0.709
Ni 0.750 0.298 0.920
Ge 0.750 0.198 0.590

Computed properties:
+++
adequate sleep at night. Studies indicate that adequate sleep is very essential
for the brain to function normally. Ensure that you get at least eight hours of
sound sleep every day.
____________
Record 1
# KCeS2O8, optimized geometry, DFT GGA-PBE
# Total magnetic moment, μB per formula unit: 1.00
# Formation enthalpy at 0 K, eV per atom: -2.52
data_KCeS2O8
_cell_length_a 5.522
_cell_length_b 7.137
_cell_length_c 8.625
_cell_angle_alpha 85.69
_cell_angle_beta 88.79
_cell_angle_gamma 88.19
_space_group_name_H-M_alt 'P -1'
_space_group_IT_number 2
loop_
_space_group_symop_operation_xyz
'x,y,z'
'-x,-y,-z'
loop_
_atom_site_label
_atom_site_type_symbol
_atom_site_fract_x
_atom_site_fract_y
_atom_site_fract_z
K1 K 0.247 0.154 0.313
Ce1 Ce 0.186 0.318 0.796
S1 S 0.258 0.674 0.430
S2 S 0.278 0.800 0.953
O1 O 0.038 0.805 0.421
O2 O 0.127 0.641 0.912
O3 O 0.163 0.874 0.095
O4 O 0.226 0.542 0.306
O5 O 0.269 0.577 0.587
O6 O 0.287 0.948 0.824
O7 O 0.469 0.272 0.014
O8 O 0.480 0.784 0.397

Record 2
# K2MnN2, optimized geometry, DFT GGA-PBE
# Total magnetic moment, μB per formula unit: 0.00
# Formation enthalpy at 0 K, eV per atom: -0.36
data_K2MnN2
_cell_length_a 6.056
_cell_length_b 5.504
_cell_length_c 12.201
_cell_angle_alpha 90.00
_cell_angle_beta 90.00
_cell_angle_gamma 90.00
_space_group_name_H-M_alt 'P n m a'
_space_group_IT_number 62
loop_
_space_group_symop_operation_xyz
'x,y,z'
'-x,-y,-z'
'-x+1/2,-y,z+1/2'
'x+1/2,y,-z+1/2'
'x+1/2,-y+1/2,-z+1/2'
'-x+1/2,y+1/2,z+1/2'
'-x,y+1/2,-z'
'x,-y+1/2,z'
loop_
_atom_site_label
_atom_site_type_symbol
_atom_site_fract_x
_atom_site_fract_y
_atom_site_fract_z
K1 K 0.110 0.250 0.176
K2 K 0.212 0.250 0.533
Mn1 Mn 0.232 0.250 0.822
N1 N 0.016 0.750 0.251
N2 N 0.229 0.250 0.955

Record 3
# Cs2TlGaCl6, optimized geometry, DFT GGA-PBE
# Total magnetic moment, μB per formula unit: 0.00
# Formation enthalpy at 0 K, eV per atom: -1.83
data_Cs2TlGaCl6
_cell_length_a 10.965
_cell_length_b 10.965
_cell_length_c 10.965
_cell_angle_alpha 90.00
_cell_angle_beta 90.00
_cell_angle_gamma 90.00
_space_group_name_H-M_alt 'F m -3 m'
_space_group_IT_number 225
_space_group_name_Hall '-F 4 2 3'
loop_
_atom_site_label
_atom_site_type_symbol
_atom_site_fract_x
_atom_site_fract_y
_atom_site_fract_z
Cs1 Cs 0.250 0.250 0.250
Tl1 Tl 0.000 0.000 0.000
Ga1 Ga 0.000 0.000 0.500
Cl1 Cl 0.000 0.000 0.280

Record 4
# Tl2Co3NiSe4, optimized geometry, DFT GGA-PBE
# Total magnetic moment, μB per formula unit: 4.37
# Formation enthalpy at 0 K, eV per atom: -0.42
data_Tl2Co3NiSe4
_cell_length_a 3.846
_cell_length_b 3.846
_cell_length_c 13.814
_cell_angle_alpha 90.00
_cell_angle_beta 90.00
_cell_angle_gamma 90.00
_space_group_name_H-M_alt 'P -4 m 2'
_space_group_IT_number 115
loop_
_space_group_symop_operation_xyz
'x,y,z'
'y,-x,-z'
'-x,-y,z'
'-y,x,-z'
'-x,y,z'
'-y,-x,-z'
'x,-y,z'
'y,x,-z'
loop_
_atom_site_label
_atom_site_type_symbol
_atom_site_fract_x
_atom_site_fract_y
_atom_site_fract_z
Tl1 Tl 0.000 0.500 0.250
Co1 Co 0.000 0.000 0.000
Co2 Co 0.000 0.000 0.500
Co3 Co 0.500 0.500 0.500
Ni1 Ni 0.500 0.500 0.000
Se1 Se 0.000 0.500 0.595
Se2 Se 0.000 0.500 0.898

Record 5
# MgZn7O8, optimized geometry, DFT GGA-PBE
____________
[Here the piece continues]
Keep your work environment very neat and clean
This is very important because if your
work environment is not neat and clean, you won't be able to concentrate on
your job fully. You might have observed that larger companies spend a lot of
money on having the best office environments. They don't do this for show but
because it improves the efficiency of their employees. Keep your office clutter
free and professional and you will see increased concentration and
Meditation, yoga and exercise
Your mind will function properly only
when your body gets the right kind of exercise. Exercise on a daily basis. You
can also practice yoga. Meditation is also a good technique for improving your
concentration and staying focused.
Think positively
Last but not the least, always be
positive about life. Everyone has to see failure in life at one time or
another. Failure is a part and parcel of our existence. Do not let a temporary
setback to affect your long-term goals in life. Be positive and you will be
able to concentrate and focus on the job at hand and increase your
About the author:
Aditya Venkatesh is a computer-enthusiast who is fascinated by
computer technology, gadgets and the Internet. He writes frequently on
computers and other topics on He also maintains a website on feng shui. In the past, he worked
as a technical writer at a leading web development company in Hyderabad, India.
His other interests include photography and DIY projects.